Kwamel J Robinson

9 posts


2-D animation involves more labor and more budget. I see it as this- the longer a person takes to do something, the more money is needed to pay them for their work (working by the hour). There are other factors too but if we consider it from that standpoint- and also consider that 2-D animation means creating several frames to emphasize motion.. then it’d be time-consuming. In releasing Kitbull, a modern Disney short, work was more efficient and the cost was less. Sure, it was 2-D and it can contradict the point; knowing how it was made can make it easy for u to understand. In this sense, using 3-D for animation, as they did, made everything quicker and it involved less money. Its good because it means you don’t need to worry about your own skill for the expectation and etc.

I done research and found that some sequences in animated movies were reused. So it further proves my point in why 2-D animation began to be turned away from in demand for the industry.
An example of thriving 2-d Animation is Anime. I guess thats the fine line between Disney and Japanese animation- which makes it more appealing if you think about all the work put into making Anime.

In our current time, I start to realize that anime is taking the 3-D approach too. Like a anime called Chainsaw man. It used 3-D animation for fight scenes (Which appeared to take more effort as its more dynamic).


What is today’s most popular (in term of audience) Japanese animated TV show in the US? What genre does it belong to? What is the general storyline? On what platform is it distributed? Why do you think it resonates with American audiences? Is it as popular in Japan?

One piece is an example of what is popular now in terms of animation from Japan. It’s broadcasted mainly on streaming platforms- rare on Television. I think it resonates well with Americans, or anyone actually- because of the appeal it gives. The style is less like what we are have- ranging from serious stylization like Marvel and Dc to something as cartoony as Looney Tunes. With what is presented in Japan in terms of Animation, we can come to an understanding that they give off this appeal for beauty.
Another reason is the morals they execute. This is a personal opinion but Japanese animation seems to be very good for the youth- as in a way it gives us a sense of reality and ideals. That’s exactly what One piece does- as well as other Japanese animations.
Its genre is action and adventure!


Theres this coco cola commercial of 4 years ago. In it, we see how the coco cola bottle is being dragged by the kite across the world.
Its being seen as flying with colorful majestic birds (And they would mold it too! Like the coco cola bottle is being created by portrayals of what is seen as beautiful.

One of the processes of the coco cola bottle. Its undergoing stages to become its perfect and what we all known to be as the coco cola.

Below is a structure of composition C46H67Cl2N11OPSTi in a non-equilibrium geometry, with properties calculated with wB97M-V/def2-TZVPD.

XYZ file:
```
130
Properties=species:S:1:pos:R:3:lowdin_charge:R:1
Ti -0.36434 0.68492 -0.37458 0.8995
C -0.08077 4.25366 -0.16281 -0.0381
N -0.86397 4.14412 1.05204 -0.0950
C -1.25504 5.46719 1.55674 -0.0085
C -1.33803 3.03127 1.62177 -0.3482
N -1.33490 1.80584 1.04878 -0.0336
C -2.04093 0.75907 1.82988 -0.1763
C -1.29671 -0.55351 1.94854 -0.1585
N -0.99730 -1.17810 0.62277 -0.2140
C -0.04568 -2.36839 0.77195 -0.1452
C 0.84262 -2.51293 1.99186 -0.2088
N 1.60819 -1.33385 2.26366 0.1020
C 2.64229 -1.35501 3.01209 -0.3763
N 3.08874 -2.39656 3.78166 -0.1356
C 2.19136 -3.15717 4.64712 -0.0372
C 4.50938 -2.66420 3.97786 -0.0319
N 3.28622 -0.07151 3.10690 -0.1952
C 4.57061 0.09122 2.40654 -0.0481
C 3.35896 0.39161 4.49957 -0.0428
C -2.28277 -1.70596 0.02501 -0.1439
C -2.91739 -0.88454 -1.10012 -0.2137
N -2.37634 0.48090 -1.17215 -0.0434
C -3.16395 1.38362 -1.76205 -0.3739
N -4.11068 1.03995 -2.65508 -0.0899
C -5.35367 1.79836 -2.81878 -0.0038
C -3.94027 0.00367 -3.67257 -0.0093
N -3.00418 2.72365 -1.41902 -0.1401
C -3.70838 3.17261 -0.21878 -0.0313
C -3.05133 3.70581 -2.50205 -0.0394
N -1.83819 3.20694 2.89463 -0.1837
C -3.24245 3.05705 3.26224 -0.0305
C -1.02033 3.88155 3.90176 -0.0302
H -0.67267 4.71823 -0.95256 0.0942
H 0.25875 3.29646 -0.50282 -0.0342
H 0.79860 4.87275 0.02824 0.1172
H -1.44426 6.10674 0.69554 0.1076
H -0.46126 5.91951 2.15086 0.1087
H -2.16130 5.40451 2.14942 0.0928
H -3.03710 0.60610 1.40223 0.1166
H -2.16239 1.09412 2.85409 0.1188
H -1.89919 -1.23763 2.55174 0.1502
H -0.34978 -0.38032 2.44566 0.0942
H 0.55515 -2.41633 -0.13209 0.0423
H -0.67990 -3.25443 0.78473 0.1288
H 1.47475 -3.38837 1.79873 0.1352
H 0.20597 -2.79089 2.83473 0.1159
H 1.24911 -2.63132 4.77569 0.0879
H 2.65122 -3.23284 5.63354 0.1021
H 1.99935 -4.16863 4.28291 0.0965
H 5.07314 -2.44914 3.07348 0.0766
H 4.62300 -3.72833 4.18013 0.1027
H 4.93700 -2.11614 4.82118 0.0902
H 5.41136 -0.37639 2.92520 0.0860
H 4.79282 1.15622 2.33255 0.0880
H 4.49661 -0.32842 1.39210 0.0737
H 2.37359 0.33380 4.96197 0.0974
H 3.67874 1.43304 4.49973 0.0953
H 4.06658 -0.18022 5.10581 0.0843
H -2.98123 -1.83457 0.85250 0.1344
H -2.08024 -2.69743 -0.36831 0.1171
H -3.99704 -0.83451 -0.93972 0.1399
H -2.76909 -1.42309 -2.03173 0.0756
H -5.60844 2.33627 -1.91359 0.0872
H -6.15028 1.08074 -3.01110 0.1120
H -5.30764 2.48296 -3.66526 0.1015
H -2.89647 -0.26697 -3.76302 0.0563
H -4.26272 0.42507 -4.62514 0.1147
H -4.54440 -0.88117 -3.46672 0.1118
H -3.77738 2.35407 0.49227 0.0693
H -4.71986 3.52015 -0.44418 0.1014
H -3.17394 4.00716 0.23571 0.0839
H -2.59814 4.62739 -2.13416 0.0927
H -4.06253 3.95018 -2.83208 0.0855
H -2.46236 3.36107 -3.34764 0.0535
H -3.79026 2.46327 2.53868 0.0726
H -3.72647 4.03518 3.33808 0.1061
H -3.31900 2.56592 4.23402 0.1096
H -0.00013 3.99555 3.54270 0.0983
H -0.99684 3.26291 4.80030 0.1051
H -1.42158 4.86064 4.17315 0.0979

The coco cola is symbolized as perfect- undergoing stages similarly to what a butterfly is. As it goes along the animation, we see how its in the focus of the camera. Theres no dialogue but the sound is very peaceful and thrilling(??) like its exciting sorta.

## Misplaced molecular data
-- begin --
No. 1
74
Properties=species:S:1:pos:R:3 method="wB97M-V/def2-TZVPD" lumo_ha=0.152 total_charge=-2 homo_lumo_gap_ev=4.716 e_homo_ev=-0.57
C -2.5292 -1.0448 -0.6479
Br 0.5640 6.7021 2.5823
H 7.6804 -0.9905 1.1126
S -2.7565 2.3471 0.4891
C -4.5869 -2.9604 -0.7456
C -4.5145 -2.0700 0.3487
C -0.2543 -5.3013 1.3352
C -2.0970 0.6470 0.7941
H 0.6955 -5.2185 1.8753
H 2.3562 -3.5124 -1.1580
H -1.2865 -3.8179 2.5493
C -3.6410 -2.8815 -1.7525
H 2.2631 -0.6055 -2.3671
H -5.2317 -2.1341 1.1610
C -1.0060 -3.9829 1.5063
C 4.3481 5.4741 1.4669
H 0.4582 -4.3420 -1.9076
H 5.3549 5.8460 1.6153
H 2.0062 0.5872 5.3027
H 8.4527 -2.4338 -0.7486
C 2.8264 3.8432 0.5749
C 4.6382 -1.7322 -0.2438
H 4.3987 -2.9591 -1.9937
H 5.2866 -0.5550 1.4292
H 6.7850 -3.4149 -2.2994
H 2.6599 2.9288 0.0152
C 3.2721 6.1671 1.9967
H 3.5756 -2.3399 2.6075
C -0.1049 -2.8344 1.0527
H -1.8742 -1.8809 -2.5167
C 7.3953 -2.2392 -0.6093
I -0.2742 3.6024 0.7677
C 5.6036 -1.1883 0.6081
C 2.1637 0.2340 4.2900
H -0.6682 -1.8988 1.0057
H 0.6785 -2.7004 1.8067
C -2.6103 -1.9319 -1.7221
C 2.8469 -0.9558 4.0643
C -3.5064 -1.1414 0.3821
Si 2.7585 -1.3396 -0.1021
H 2.4252 -3.7267 0.5840
H -0.7234 -6.2481 -0.5693
N 0.5409 -3.1091 -0.2439
C 4.1210 4.3038 0.7524
H 3.2240 -1.5327 4.9018
H 2.5747 0.7908 -1.3120
C 0.0254 -5.5640 -0.1558
C 1.9948 -3.0864 -0.2142
H 4.9522 3.7473 0.3352
C 2.5563 -0.6941 1.6658
C 1.9870 5.6745 1.8039
H -3.9135 0.3310 1.7453
H -1.9364 -3.9872 0.9297
C 6.9605 -1.4328 0.4327
H 1.1319 1.8850 3.3665
H 0.9996 -6.0465 -0.2808
C -0.0394 -4.2414 -0.9390
N -3.1525 -0.2204 1.3748
H -1.0823 -4.0013 -1.1521
C 1.6768 0.9607 3.2143
H -5.3780 -3.7002 -0.7915
C 6.4596 -2.7886 -1.4758
H 1.4574 1.0598 1.0920
C 2.1065 -0.1991 -1.3596
N -1.6241 -0.0816 -0.3719
C 5.1078 -2.5318 -1.2919
H -1.2852 0.7690 1.5175
H -0.7975 -6.1387 1.7825
H -3.6969 -3.5707 -2.5903
Cu 0.1935 -0.1157 -0.9454
C 1.7166 4.5153 1.0988
C 1.8720 0.4940 1.9198
H 3.4213 7.0804 2.5583
C 3.0404 -1.4079 2.7670



No. 2
83
Properties=species:S:1:pos:R:3 method="wB97M-V/def2-TZVPD" lumo_ha=0.073 total_charge=-1 homo_lumo_gap_ev=4.054 e_homo_ev=-2.07
C -3.8723 -4.0034 -0.4178
H -3.5662 3.9421 -2.1236
O -1.0093 -2.7494 -0.5177
S 3.1941 -3.3929 2.5820
N -3.5957 -2.9668 1.7934
C -2.1109 2.4407 -1.3765
C 2.7941 -0.1517 -3.2479
C 1.9211 0.1946 -2.2362
H 3.9663 -0.9052 -5.2498
C 3.3509 2.4188 0.6384
H 1.7076 3.5844 0.0586
C -4.9681 -4.8163 -0.1332
C -4.8094 2.2038 -0.4604
C 2.2719 -0.7112 -4.4067
H 3.2533 4.3159 0.0346
H -2.5792 1.1985 1.7028
H 0.5928 -3.3019 0.0752
N 2.8414 1.2136 0.7783
C -0.2940 -6.8316 1.9658
C -1.6089 -5.7680 0.2518
H 5.6989 0.4606 2.3732
H -4.5514 -3.1593 2.0405
H -4.0302 3.0762 1.9445
C 0.9016 -0.8947 -4.5101
C -3.6950 -3.5474 -1.7183
Br -1.7483 -0.7213 -3.5593
H -1.0804 2.7712 -1.1973
C 2.1641 -2.8452 1.2807
H -6.7303 -5.7770 -0.8796
Se -0.1111 4.5613 0.5014
H -5.3449 2.4129 -1.3871
C 3.6963 0.3920 1.4840
H 0.4583 -1.3193 -5.3975
C -5.8820 -5.1477 -1.1197
H -1.3449 2.4261 1.1142
H -4.4567 -3.5180 -3.7182
-- stop --
## Here the entry continues


I liked this film. It’s actually my favourite one!

“The hand” is a representation of what it means to oppress something- in this sense, the government. The puppet represents an artist and the clay being manipulated represents art- or virtually anything in the matter. As we navigate through the film, we see how the hand only intervenes and creates standards that the puppet must obey- limiting it from broadening their sense of creativity. When the puppet fails to reach the standard, a black gloved hand appears to take action.

My favourite part in the scene is where the puppet lost its human qualities in deciding for itself. It does what it was asked to do forcingly- becoming the puppet. And when it became the puppet, it became lifeless like the puppet is- depending on a hand to decide for it.
This posed issue to the gov’t since it addresses how a gov’t such as Szechoslovakia was very oppressive.

KWAMEL, ROBINSON W7” “Journal Entry – Week 7”

Analysis: In “Bury the Axis”, we see what was represented as the Nazi leader, Hitler, and Stalin (If I recall from my history)- working together. I couldn’t understand much from the film. The words I understood most were from other characters, however, Hitler’s sounded jibberish. Was that to influence the audience to believe he only spoke foolishness? To make them think that he was just filled with too much pride but no intelligence behind it? I see that he was defeated twice, middle and in the end when he tried to challenge the United States, Great Britain, China, and Soviet Union. As I went further into the film, I noticed that it humored me to hear Hitler speak- the same way anyone would feel if they heard a madmen yelling random things.

Answer: Hiter is presented as a overly confident individual who speaks nothing but foolery. Its prevalent by how he speaks (Not understandable and quick) and how he is shown (attracting the support of ducks). Stalin or whoever that person is, is being portrayed as a obedient dog that got picked up by Hitler. The animator only shows that whoever follows the two foolish people will lose at their hands. As propaganda back then only emphasized how our country required men to go out and be heroes and etc, we see in this one how the United States is superior in the face of another enemy.We can also see a attempt to solidify the cooperation of other countries. In Momotaro no Uwiwashi, i had to look it up since I couldnt find it. In it, we see that one side (Japan) is represented by animals who are bombing the shit of a American. What I found funny was that they was represented with a small head and a wide body. Furthermore, how they held a beer bottle in the situation of being bombed overhead by a jet. Clearly, both sides make eachother look inferior and dull. They also express themselves as smart and more rational.

Kwamel Robinson- Week 4

The short film I will choose is called “Opus I”. The reason for choosing this is due to how aesthetic and eye-catching it was at first glance. You are given an array of colors and shapes that is accompanied with music. This creates a flow in my mind that relaxes me- sorta like how some people resort to measures for stress relief- orchestra sometimes soothes my mind of it’s stress and troubles.

I may have forgot the outline part. I’m unsure of that part. if you do see this, can you respond to this so I can know what to add?

Records of molecules, as found in the file:
+++
Density functional theory data (ωB97M-V with the def2-TZVPD basis set) for a molecular structure, C5H6Li2O3 in a non-equilibrium geometry.

Geometry as XYZ:
```
16
Properties=species:S:1:pos:R:3:forces:R:3:lowdin_charge:R:1
O 0.652 0.572 0.315 3.17 2.79 -1.25 0.096
C 2.078 0.136 0.177 -1.66 0.71 -0.42 -0.631
C -0.277 -0.269 0.192 -2.85 -6.52 4.81 -0.306
O 2.815 1.102 0.164 0.77 0.23 -0.21 -0.007
O 2.221 -1.070 0.112 0.70 -1.00 -0.33 -0.040
C -1.278 -0.499 1.213 -1.55 6.67 0.16 -0.038
Li 4.364 1.848 -0.474 -0.21 0.15 0.28 0.902
H -0.224 -1.499 0.843 1.61 1.71 -4.42 0.268
H -0.904 -0.898 2.166 -1.12 -2.48 -0.25 0.155
H -1.719 0.398 1.661 -0.38 0.51 -0.36 0.106
Li 3.037 -2.480 -0.734 -0.16 0.03 0.27 0.896
C -1.898 -0.150 -0.539 0.70 -4.15 1.17 0.004
C -2.162 0.990 -1.190 1.01 1.20 0.53 0.221
H -2.597 0.964 -2.190 -0.26 -0.11 0.30 0.126
H -2.307 -1.102 -0.882 0.36 0.38 -0.26 0.124
H -1.802 1.958 -0.833 -0.14 -0.12 -0.02 0.123
```
Forces are in eV/Å.

Its charge is +2. The LUMO energy is -9.3 eV. The orbital gap comes out at 0.267 Eh.

Density functional theory data (ωB97M-V with the def2-TZVPD basis set) for a molecular structure, C5H6LiO4Pt in a non-equilibrium geometry.

Geometry as XYZ:
```
17
Properties=species:S:1:pos:R:3:forces:R:3:lowdin_charge:R:1
O 0.699 -2.192 -2.207 -0.21 0.35 0.21 -0.059
C -0.205 -1.403 -1.835 0.28 -0.67 -1.82 -0.796
O -0.912 -0.740 -2.631 0.09 0.43 0.21 -0.063
O -0.432 -1.352 -0.508 0.38 1.36 1.60 -0.018
C -1.090 -0.208 0.035 -2.40 -0.42 -1.16 -0.083
Li 0.194 -1.614 -4.011 -0.14 -0.04 0.51 0.849
H -1.497 -0.537 1.000 0.71 0.50 0.05 0.148
H -1.990 -0.030 -0.565 0.16 0.26 -0.15 0.140
C -0.389 1.414 -0.006 0.64 -2.63 -0.06 0.022
C 0.592 0.683 0.739 3.79 0.85 1.51 -0.222
H -0.172 1.623 -1.060 -0.26 0.08 0.50 0.131
H -0.964 2.128 0.600 -0.19 -0.36 -0.47 0.141
Pt 1.937 -1.139 1.818 3.04 -4.92 -3.55 0.979
O 1.102 -0.085 3.035 -1.38 4.21 0.40 -0.232
C 0.881 0.861 2.109 -4.65 0.72 3.32 -0.319
H 0.360 1.717 2.569 0.87 0.51 0.18 0.161
H 1.887 0.875 0.918 -0.75 -0.22 -1.28 0.221
```
Forces are in eV/Å.

Its spin multiplicity is 3. Its charge is +1. The LUMO energy (alpha / beta) is -4.7 / -6.7 eV. The orbital gap (alpha / beta) comes out at 0.308 / 0.250 Eh.

Density functional theory data (ωB97M-V with the def2-TZVPD basis set) for 2 unconnected molecules or ions with the total composition C5H6N in a non-equilibrium geometry.

Geometry as XYZ:
```
12
Properties=species:S:1:pos:R:3:forces:R:3:lowdin_charge:R:1
C -2.638 -0.021 -0.245 -1.50 0.21 0.90 0.109
C -1.487 -0.678 -0.284 -0.77 0.37 0.37 -0.017
C -3.786 0.537 0.023 3.03 -1.58 -0.71 0.174
C -0.398 -1.221 -0.173 -0.53 0.89 -1.10 0.309
C 2.501 -0.023 -0.378 0.48 -1.82 -2.87 -0.052
N 3.354 0.360 0.485 1.41 1.24 1.78 -0.015
H -4.368 1.215 -0.486 -0.73 1.69 -1.76 0.087
H -4.288 0.255 0.893 -0.47 -0.92 1.78 0.106
H 0.662 -1.279 -0.316 1.10 -0.38 0.65 0.002
H 3.066 -0.329 -1.367 -0.87 0.87 1.53 0.060
H 4.377 0.590 0.444 -1.08 -0.65 -0.69 0.144
H 3.003 0.593 1.405 -0.05 0.09 0.12 0.094
+++

Robinson, Kwamel [Week 3]

Films were based mainly on print comics because it was widely used as a way to storyboard animations, in their planning, before converting into animation. Furthermore, it was easier because some visual aid as to what should be in the scene, how one should look and etc, can allow for production to be easier. In fact, that’s one of the advantages of using comics because already, you’re given an idea of what to visualize. Versus readings, you will have to resort to your imagination to visualize how a scene should look.

Week 2- Kwamel Robinson

Prompt 3:

I could imagine myself at his shows in 1797. Why I could do so- its because I have this ambition to make animations myself. I was on youtube and i seen this video of one of his shows ( ) and I found the experience of the show to be enticingly unique. He used stop motion to portray a creative vision in his head that continuously captured my attention because of how random it was.
I’d compare it to thriller because of the fact it captured my attention the more I watched it.

Robinson, Kwamel W1

Please tell us a bit about yourself. What is your name? Why did you pick this course? Is there a particular genre/era/type of animation you’re interested in learning more about? What is your major? What are your career goals? Include a few fun facts about yourself (hobbies? pets? favorite food?)

My name is Kwamel Robinson. I am 19 and I live in NY, Astoria. I picked this course because initially, I wanted to become an animator- to be specific, for anime. My major is Animation and Motion graphics. My career goals is still in planning. A few fun facts is that I like drawing, singing and I am the 2nd oldest in my household.